I learned a lot over the past couple of months about what it means to be a supportive partner. And the thing about these lessons I learned is that they are specific to Kendall and me. We are two different people with two distinct ways of thinking. The way that Kendall’s diagnosis affected us both was extremely different and it was part of my job to find bridges. I kept reading how isolating it can be to be diagnosed with a neurodegenerative disorder. You can be surrounded by love and support but still feel completely alone. You can be victimized or pitied when all you want is normalcy. You can be treated differently or viewed differently when you’re still the same damn person you were before. I didn’t want Kendall to feel isolated and I certainly didn’t want her to feel pity, she hates pity. Which is tough for me because I love a little pity. And my wish when I am feeling down is to be smothered with pity and affection. So with that said, take each of these points with a grain of salt, as they apply specifically to our experience and who we are:

Be there as much as you can during a diagnosis. My flexible hospitality work schedule allowed me to be with Kendall for almost the entirety of her stay at the hospital. Not everyone is afforded this same luxury for several reasons. But if you can, try and be with your partner as much as you are permitted to. This benefitted us in a multitude of ways. Perhaps the most important reason is you are overwhelmed with a tremendous amount of information and questions. Having two or more people there can only help to retain this information and answer or clarify any questions. It enables one person to just listen and respond to doctors and the other to write down notes. There were many times a different doctor would come in and go through a timetable of symptoms and medical history and each time, we were able to build a clearer picture through our shared memories. As I mentioned up above, receiving a diagnosis can feel incredibly isolating so being with people you love can help someone get through an already isolating experience. The night Kendall was transferred to the neurology unit I got some inside info on how I could beat visiting hours and stay the night with Kendall. Do I endorse breaking official hospital rules? No. But Kendall has always had trouble sleeping alone and the hospital was oftentimes a scary place so in the name of her getting some sleep, I viewed the breaking of rules as necessary.
If your partner delegates something to you, do it. This can apply to many different things. As I previously mentioned, before Kendall was diagnosed or in the hospital, she loved to WebMD her symptoms and come up with her own answers. Once she was in the hospital, she didn’t want to look up anything online. The situation was scary and stressful enough and she didn’t want to go down any unnecessary rabbit holes that would only make sleep go down and stress go up. Therefore, become your partner’s researcher and advocate. Arm yourself with information so you know the right questions to ask. Sleep and stress reduction are key for neuroinflammatory diseases, so lighten your partner’s load whenever you can. I would also relay information about what was going on to Kendall’s close friends during the week in the hospital. This afforded Kendall some time to rest rather than recapping what doctors were already making her recap on a day-to-day basis.
Consider the future, but stay in the present. This diagnosis has forced us to consider changes to our lives. It has shifted some timetables and will certainly expedite certain decisions we had thought would be further down the road for us. But luckily, outside of this, MS hasn’t had a tremendous impact on our day-to-day. And nor should it. This is a disease that can present different challenges throughout your life, but don’t let the threat of tomorrow hinder your happiness today. Don’t be naive to what could happen down the road either. But the truth is, this is an evolving disease. Research and treatment have come tremendously far in the past 30 years so one could only imagine what might be on the horizon. That’s why it’s best to stick to today.
Parttake in any lifestyle changes together. There is a lot of conflicting information and perhaps an overall lack of information out there on what diet and exercise can do to help. Do your research and come up with solutions that are best for you. We have decided on a modified Mediterranean diet, eliminating gluten, and limiting sugar and red meat intake. These changes have been relatively easy so far because a lot of it was already part of our diet. But as a partner, the best you can do is to participate. And I still have a ways to go here. Kendall has decided to cut out alcohol almost entirely and I have not practiced solidarity thus far. Participate as much as you can, when you can.
Reduce stress. This is perhaps my biggest challenge. Kendall and I are both strong-willed and opinionated people who enjoy some impassioned debate. But when debate teeters on conflict it can certainly cause stress. Stress is known to have a very negative impact on neuroinflammatory disorders. I’m still learning here so I won’t try to preach any false realities.
Help me, help you. Another thing I’m working on is taking better care of myself. I can think of a micro example and a macro example here. When Kendall was in the hospital, I got my biggest audition of the past several years. Frankly, I didn’t want to do it. I had no sleep and could barely form a coherent sentence. And any moments of clarity I wanted to utilize to digest information. But Kendall didn’t want this. She wanted me to crush my audition. She wanted to know that she wasn’t restricting me in any way. And any success I do have could only benefit both of us. I knew this, I just had trouble practicing it. Needless to say, I got the audition done and submitted, whether or not I wanted to. On a macro level, I am trying to take better care of myself. Get a job with adequate health coverage, eat healthier, and exercise more (some of these I’m just saying as manifestations rather than actualities). Positioning and taking care of myself will only give me more capacity to do it for others.
Lean on your family and friends. Kendall likes to remind me that this diagnosis didn’t just happen to her, it affected everyone who cares about her, myself included. Just as Kendall needs to lean on her network for love and support, so do those who are close to her. I have the good fortune of some family and friends whom I can talk to. If anything, this has brought me closer to a lot of people. Getting a diagnosis may be isolating, but don’t let it continue to isolate you or your partner any further. Reach out! You’ll find countless people who care. We even met others with shared experiences by reaching out, and they offered some of the most insightful advice we have heard.
~~~
A relaxed La9Sm3Y2 crystal, computed with PBE.

Summary:
**V**: 36.72 Å³/atom
**Total magnetization**: 0.0 μB per cell
**Formation enthalpy at 0 K**: 2.888 eV/f.u.
**Mass density**: 6.070 g/cm³
**VASP energy**: -4.896 eV/atom

Structure (CIF):
```
data_La9Sm3Y2
_symmetry_space_group_name_H-M 'P 1'
_symmetry_Int_Tables_number 1
_cell_length_a 9.1075
_cell_length_b 9.1075
_cell_length_c 14.3124
_cell_angle_alpha 90.00
_cell_angle_beta 90.00
_cell_angle_gamma 120.00
loop_
_symmetry_equiv_pos_as_xyz
'x,y,z'
loop_
_atom_site_label
_atom_site_type_symbol
_atom_site_fract_x
_atom_site_fract_y
_atom_site_fract_z
La1 La 0.0736 0.4869 0.2500
La2 La 0.1309 0.7378 0.0431
La3 La 0.1309 0.7378 0.4569
La4 La 0.2622 0.3931 0.0431
La5 La 0.2622 0.3931 0.4569
La6 La 0.3931 0.1309 0.5431
La7 La 0.3931 0.1309 0.9569
La8 La 0.4134 0.9264 0.2500
La9 La 0.4869 0.4134 0.7500
La10 La 0.5131 0.5866 0.2500
La11 La 0.5866 0.0736 0.7500
La12 La 0.6069 0.8691 0.0431
La13 La 0.6069 0.8691 0.4569
La14 La 0.7378 0.6069 0.5431
La15 La 0.7378 0.6069 0.9569
La16 La 0.8691 0.2622 0.5431
La17 La 0.8691 0.2622 0.9569
La18 La 0.9264 0.5131 0.7500
Sm1 Sm 0.0846 0.2489 0.7500
Sm2 Sm 0.1644 0.9154 0.7500
Sm3 Sm 0.2489 0.1644 0.2500
Sm4 Sm 0.7511 0.8356 0.7500
Sm5 Sm 0.8356 0.0846 0.2500
Sm6 Sm 0.9154 0.7511 0.2500
Y1 Y 0.3333 0.6667 0.6401
Y2 Y 0.3333 0.6667 0.8599
Y3 Y 0.6667 0.3333 0.1401
Y4 Y 0.6667 0.3333 0.3599
```


# 1
NdMg2Zn after structural relaxation. Source: Alexandria via LeMat-Bulk, functional PBE.

Unit cell a=5.044 b=5.044 c=5.044 alpha=60.00 beta=60.00 gamma=60.00
Element x y z (fractional)
Nd 0.000 0.000 0.000
Mg 0.250 0.250 0.250
Mg 0.750 0.750 0.750
Zn 0.500 0.500 0.500

Output
- ΔE_f (meV per atom) = -90
- calculated volume (Å³ per cell) = 90.7


# 2
La8SnAs3I4 after structural relaxation. Source: Alexandria via LeMat-Bulk, functional PBE.

Unit cell a=9.288 b=9.288 c=9.288 alpha=57.62 beta=57.62 gamma=57.62
Element x y z (fractional)
La 0.221 0.743 0.743
La 0.233 0.233 0.233
La 0.257 0.257 0.779
La 0.257 0.779 0.257
La 0.743 0.221 0.743
La 0.743 0.743 0.221
La 0.767 0.767 0.767
La 0.779 0.257 0.257
Sn 0.500 0.500 0.500
As 0.000 0.000 0.500
As 0.000 0.500 0.000
As 0.500 0.000 0.000
I 0.000 0.000 0.000
I 0.000 0.500 0.500
I 0.500 0.000 0.500
I 0.500 0.500 0.000

Output
- calculated volume (Å³ per cell) = 535.7
- total energy (eV per atom) = -5.268


# 3
CrSbSe2Br after structural relaxation. Source: Alexandria via LeMat-Bulk, functional PBE.

Unit cell a=5.006 b=5.006 c=4.834 alpha=90.00 beta=90.00 gamma=90.00
Element x y z (fractional)
Cr 0.000 0.000 0.000
Sb 0.500 0.500 0.500
Se 0.000 0.500 0.000
Se 0.500 0.000 0.000
Br 0.000 0.000 0.500

Output
- calculated volume (Å³ per cell) = 121.2
- excess energy over the best structure of this formula in the dataset (meV per atom) = 0


# 4
KP6S12 after structural relaxation. Source: Alexandria via LeMat-Bulk, functional PBE.

Unit cell a=8.324 b=8.324 c=8.324 alpha=90.28 beta=90.28 gamma=90.28
Element x y z (fractional)
~~~
Their body, their choice. As Kendall has considered different treatments over the last month, I have developed some strong opinions about which treatment seems like the best option. Her doctors presented her with three disease-modifying therapies they viewed as good options for Kendall with one particular favorite. This option, Tysabri, has one pretty serious albeit rare (1/10,000) side effect, PML (Progressive multifocal leukoencephalopathy). PML is deadly. We have looked at every study out there on Tysabri to try and ease any fears and hesitations this scary side effect might cause. But the reality is, it’s scary. I think Tysabri is a fantastic disease-modifying therapy, and it is. But Kendall is just as right to have serious concerns about it. After all, as she points out, when you’re already a statistical outlier, 1/10,000 doesn’t feel impossible. And she is right. You can have an opinion on what you think is best, you can express that opinion, but you can’t force that opinion on your partner. It is their disease, their body, and their choice.Â
Again, take this all with a grain of salt, I’m still learning and will continue to learn. Each person and each partner is different, with vastly different needs. We can all strive to do our best and exceed expectations in one arena while falling short in another. This is a marathon, not a sprint. So gear up, because it is a long race ahead. For now, I’ll keep telling dumb jokes and annoying her, it’s what I’m best at.